# Material
'''
DFT (ωB97M-V with the def2-TZVPD basis set) results for C20H44Cl4MoO2P2 as an isolated structure.

Each line ends with the Mulliken spin population.
CARTESIAN COORDINATES (ANGSTROEM)
Mo 0.05 -0.04 0.36  2.088
P -0.07 -2.34 -0.36  0.001
C 0.90 -3.08 -1.79  0.000
C 0.10 -3.62 1.00  -0.041
C -1.80 -2.59 -0.99  -0.042
C 2.23 -2.35 -1.95  -0.004
H 0.26 -2.86 -2.66  -0.005
C 1.12 -4.60 -1.74  0.000
H 1.83 -4.90 -0.96  0.000
H 1.55 -4.90 -2.70  0.000
H 0.20 -5.18 -1.60  0.000
H 2.07 -1.29 -2.18  -0.003
H 2.80 -2.78 -2.79  -0.001
H 2.85 -2.41 -1.05  -0.001
H -1.82 -1.99 -1.92  0.004
C -2.85 -2.00 -0.03  0.047
C -2.13 -4.04 -1.36  0.006
H -1.59 -4.38 -2.25  -0.001
H -3.20 -4.10 -1.60  0.002
H -1.93 -4.75 -0.54  0.000
H -2.44 -1.39 0.78  -0.014
H -3.45 -2.80 0.43  0.000
H -3.53 -1.32 -0.56  0.004
C 1.57 -3.82 1.41  0.011
H -0.31 -4.54 0.54  0.008
C -0.74 -3.28 2.23  0.034
H 2.24 -4.15 0.61  0.000
H 1.62 -4.59 2.19  0.001
H 1.98 -2.89 1.82  0.000
H -0.57 -2.25 2.57  -0.017
H -0.46 -3.95 3.04  0.001
H -1.82 -3.39 2.06  0.000
Cl 1.75 -0.41 1.96  0.060
H 1.36 0.15 -0.66  -0.061
H 0.40 -0.26 -1.27  -0.054
P 0.69 2.24 -0.27  0.028
C -0.49 3.00 -1.50  -0.042
C 0.78 3.48 1.12  -0.067
C 2.32 2.47 -1.14  -0.010
C -1.84 2.28 -1.60  0.078
H 0.05 2.88 -2.46  -0.004
C -0.74 4.49 -1.27  -0.001
H -1.32 4.65 -0.36  0.000
H -1.34 4.89 -2.10  0.000
H 0.16 5.09 -1.22  0.000
H -1.76 1.28 -2.03  -0.001
H -2.50 2.86 -2.25  0.001
H -2.34 2.21 -0.62  -0.027
H 2.12 1.92 -2.07  -0.004
C 3.52 1.81 -0.45  0.001
C 2.61 3.94 -1.48  0.001
H 1.86 4.38 -2.14  0.000
H 3.57 4.00 -2.00  -0.001
H 2.69 4.56 -0.57  0.000
H 3.24 1.05 0.29  -0.006
H 4.18 2.54 0.04  0.000
H 4.13 1.29 -1.20  0.000
C -0.51 3.60 1.93  0.041
H 0.93 4.44 0.60  -0.001
C 1.95 3.24 2.08  0.018
H -1.38 3.95 1.37  0.001
H -0.38 4.25 2.81  0.001
H -0.77 2.61 2.32  -0.017
H 1.93 2.22 2.51  -0.003
H 1.88 3.96 2.91  0.003
H 2.92 3.41 1.61  0.001
Cl -3.86 1.46 4.21  0.000
C -3.34 0.32 2.96  0.000
Cl -1.50 0.17 2.95  -0.008
Cl -4.04 -1.27 3.20  0.001
C -3.78 1.00 1.54  -0.006
O -4.62 0.35 0.91  0.000
O -3.19 2.09 1.35  0.001

Output
E: -3530.53900 Eh
frontier orbital gap (alpha / beta): 7.168 / 7.557 eV
spin multiplicity: 3
LUMO level (alpha / beta): -0.035 / -0.039 Ha
'''
# Exercise
Find the line further above that holds "(ANGSTROEM)", then reproduce that line and all lines after it there.
# Reply
CARTESIAN COORDINATES (ANGSTROEM)
Mo 0.05 -0.04 0.36  2.088
P -0.07 -2.34 -0.36  0.001
C 0.90 -3.08 -1.79  0.000
C 0.10 -3.62 1.00  -0.041
C -1.80 -2.59 -0.99  -0.042
C 2.23 -2.35 -1.95  -0.004
H 0.26 -2.86 -2.66  -0.005
C 1.12 -4.60 -1.74  0.000
H 1.83 -4.90 -0.96  0.000
H 1.55 -4.90 -2.70  0.000
H 0.20 -5.18 -1.60  0.000
H 2.07 -1.29 -2.18  -0.003
H 2.80 -2.78 -2.79  -0.001
H 2.85 -2.41 -1.05  -0.001
H -1.82 -1.99 -1.92  0.004
C -2.85 -2.00 -0.03  0.047
C -2.13 -4.04 -1.36  0.006
H -1.59 -4.38 -2.25  -0.001
H -3.20 -4.10 -1.60  0.002
H -1.93 -4.75 -0.54  0.000
H -2.44 -1.39 0.78  -0.014
H -3.45 -2.80 0.43  0.000
H -3.53 -1.32 -0.56  0.004
C 1.57 -3.82 1.41  0.011
H -0.31 -4.54 0.54  0.008
C -0.74 -3.28 2.23  0.034
H 2.24 -4.15 0.61  0.000
H 1.62 -4.59 2.19  0.001
H 1.98 -2.89 1.82  0.000
H -0.57 -2.25 2.57  -0.017
H -0.46 -3.95 3.04  0.001
H -1.82 -3.39 2.06  0.000
Cl 1.75 -0.41 1.96  0.060
H 1.36 0.15 -0.66  -0.061
H 0.40 -0.26 -1.27  -0.054
P 0.69 2.24 -0.27  0.028
C -0.49 3.00 -1.50  -0.042
C 0.78 3.48 1.12  -0.067
C 2.32 2.47 -1.14  -0.010
C -1.84 2.28 -1.60  0.078
H 0.05 2.88 -2.46  -0.004
C -0.74 4.49 -1.27  -0.001
H -1.32 4.65 -0.36  0.000
H -1.34 4.89 -2.10  0.000
H 0.16 5.09 -1.22  0.000
H -1.76 1.28 -2.03  -0.001
H -2.50 2.86 -2.25  0.001
H -2.34 2.21 -0.62  -0.027
H 2.12 1.92 -2.07  -0.004
C 3.52 1.81 -0.45  0.001
C 2.61 3.94 -1.48  0.001
H 1.86 4.38 -2.14  0.000
H 3.57 4.00 -2.00  -0.001
H 2.69 4.56 -0.57  0.000
H 3.24 1.05 0.29  -0.006
H 4.18 2.54 0.04  0.000
H 4.13 1.29 -1.20  0.000
C -0.51 3.60 1.93  0.041
H 0.93 4.44 0.60  -0.001
C 1.95 3.24 2.08  0.018
H -1.38 3.95 1.37  0.001
H -0.38 4.25 2.81  0.001
H -0.77 2.61 2.32  -0.017
H 1.93 2.22 2.51  -0.003
H 1.88 3.96 2.91  0.003
H 2.92 3.41 1.61  0.001
Cl -3.86 1.46 4.21  0.000
C -3.34 0.32 2.96  0.000
Cl -1.50 0.17 2.95  -0.008
Cl -4.04 -1.27 3.20  0.001
C -3.78 1.00 1.54  -0.006
O -4.62 0.35 0.91  0.000
O -3.19 2.09 1.35  0.001

Output
E: -3530.53900 Eh
frontier orbital gap (alpha / beta): 7.168 / 7.557 eV
spin multiplicity: 3
LUMO level (alpha / beta): -0.035 / -0.039 Ha